

Representation ID: 23818

Received: 22/03/2021

Respondent: Glavenhill Ltd

Agent: Lanpro Services Ltd

Legally compliant? Yes

Sound? No

Duty to co-operate? Yes

Representation Summary:

Too great an emphasis is placed upon dispersal of growth to as yet unidentified sites in rural cluster villages in South Norfolk and to towns like Diss and Harleston, outside of the Cambridge-Norwich Tech Corridor and the Strategic Growth Area.

Change suggested by respondent:

Housing numbers should be redirected from Diss, Harleston and the South Norfolk rural cluster villages to a new settlement at Hethel. The policy should include the identification of a new settlement at Hethel. This approach would clearly support the ambition to provide most new homes in and around Norwich and within the Tech corridor and would provide land and homes to expand and support the opportunity for hi-tech engineering jobs within the Tech corridor.

Full text:

Our previously submitted comments in relation to the proposed growth strategy still stand. Too great an emphasis is placed upon dispersal of growth to as yet unidentified sites in rural cluster villages in South Norfolk and to towns like Diss and Harleston, outside of the Cambridge-Norwich Tech Corridor and the Strategic Growth Area.

Although it is recognised that these more rural locations should accommodate some additional housing growth, this should not take precedence over redirecting the policies in the new plan beyond those in the JCS to ensure that there is a real new focus and commitment on meeting the stated vision for the Strategic Growth Area and Cambridge -Norwich Tech corridor.

**Inserted here: calculated crystals**
********
No. 1
Density functional theory data (GGA-PBE) for TlAgH6Pt after structural relaxation.

```
9
Lattice="5.0295 0.0000 0.0000 -2.5147 4.3556 0.0000 0.0000 0.0000 5.2389" Properties=species:S:1:pos:R:3 pbc="T T T"
Tl 0.0000 0.0000 0.0000
Ag 0.0000 2.9038 2.6194
H 1.8663 0.2630 3.6022
H 1.1610 1.4848 1.6367
H 3.1631 0.2630 1.6367
H 1.8094 2.6078 3.6022
H 3.8685 1.4848 3.6022
H 3.2201 2.6078 1.6367
Pt 2.5147 1.4519 2.6194
```

Values from the calculation:
VASP energy = -3.476 eV/atom
SG = P312

No. 2
Density functional theory data (GGA-PBE) for LiTbBi2 after structural relaxation.

```
8
Lattice="4.5089 0.0000 0.0000 0.0000 4.5089 0.0000 0.0000 0.0000 10.4406" Properties=species:S:1:pos:R:3 pbc="T T T"
Li 1.1272 3.3817 0.0000
Li 3.3817 1.1272 0.0000
Tb 1.1272 1.1272 2.7118
Tb 3.3817 3.3817 7.7288
Bi 1.1272 1.1272 8.6689
Bi 1.1272 3.3817 5.2203
Bi 3.3817 1.1272 5.2203
Bi 3.3817 3.3817 1.7717
```

Values from the calculation:
Fermi-level density of states = 2.17 states/eV/cell
ΔE_f = -0.62 eV per atom
SG = P4/nmm

No. 3
Density functional theory data (GGA-PBE) for HfZnAu3 after structural relaxation.

```
10
Lattice="4.9439 0.0000 0.0000 0.0000 5.8645 0.0000 -1.6749 0.0000 6.3206" Properties=species:S:1:pos:R:3 pbc="T T T"
Hf 0.4424 1.4661 1.3737
Hf 2.8266 4.3984 4.9469
Zn -0.0697 4.3984 1.6279
Zn 3.3387 1.4661 4.6927
Au 0.4289 2.9623 3.8859
Au 0.4289 5.8345 3.8859
Au 1.9805 4.3984 0.0759
Au 1.2885 1.4661 6.2447
Au 2.8401 0.0300 2.4347
Au 2.8401 2.9023 2.4347
```

Values from the calculation:
Fermi-level density of states = 4.45 states/eV/cell
ΔE_f = -0.27 eV per atom
SG = P2_1/m

No. 4
Density functional theory data (GGA-PBE) for Li2CoAs after structural relaxation.

```
4
Lattice="2.3569 -4.0889 0.0000 2.3569 4.0889 0.0000 0.0000 0.0000 2.8157" Properties=species:S:1:pos:R:3 pbc="T T T"
Li 1.1784 2.0445 0.0000
Li 1.1784 -2.0445 0.0000
Co 0.0000 0.0000 1.4078
As 2.3569 0.0000 1.4078
```

Values from the calculation:
Fermi-level density of states = 2.48 states/eV/cell
ΔE_f = -0.11 eV per atom
SG = Cmmm

No. 5
Density functional theory data (GGA-PBE) for Re3HW after structural relaxation.

```
5
Lattice="3.9843 0.0000 0.0000 0.0000 3.9843 0.0000 0.0000 0.0000 3.9843" Properties=species:S:1:pos:R:3 pbc="T T T"
Re 0.0000 0.0000 1.9921
Re 0.0000 1.9921 0.0000
Re 1.9921 0.0000 0.0000
H 0.0000 0.0000 0.0000
W 1.9921 1.9921 1.9921
```

Values from the calculation:
Fermi-level density of states = 4.26 states/eV/cell
VASP energy = -10.565 eV/atom
SG = Pm-3m

No. 6
Density functional theory data (GGA-PBE) for KPuSb2Pt2 after structural relaxation.

```
6
Lattice="4.4367 0.0000 0.0000 -2.2184 3.8423 0.0000 0.0000 0.0000 9.7041" Properties=species:S:1:pos:R:3 pbc="T T T"
K 0.0000 0.0000 0.0000
Pu 0.0000 0.0000 4.8521
Sb 0.0000 2.5615 7.1802
Sb 2.2184 1.2808 2.5239
Pt 0.0000 2.5615 3.1836
Pt 2.2184 1.2808 6.5205
```

Values from the calculation:
Fermi-level density of states = 13.64 states/eV/cell
Raw formation energy = -637 meV per atom
SG = P-3m1

No. 7
********

Housing numbers should be redirected from Diss, Harleston and the South Norfolk rural cluster villages to a new settlement at Hethel. This approach would clearly support the ambition to provide most new homes in and around Norwich and within the Tech corridor and would provide land and homes to expand and support the opportunity for hi-tech engineering jobs within the Tech corridor. Such an approach would help provide a ‘Sustainable Growth Strategy’ and a development hierarchy that focusses growth on the most sustainable locations within the Strategic Growth Area. The current over emphasis on potential rural allocations in the bottom tier of the settlement hierarchy and overly large allocations in Diss and Harleston makes the strategy unsound in its current form.

Our previously submitted Vision and Delivery Document has provided detailed information regarding the availability and deliverability of the Stanfield Garden Village site together with the opportunities and benefits that would arise through its allocation.